_What to do_
The reader should repeat only the lines below with the word "Raw" in them.

_Data_
┌──
[1]
Density functional theory data (PBE-GGA) for a geometry-optimized HfSc2Cd3 structure.

ΔH_f (0 K), eV/atom: -0.159

CIF file:
```
data_HfSc2Cd3
_symmetry_space_group_name_H-M 'P 4/m m m'
_symmetry_Int_Tables_number 123
_symmetry_space_group_name_Hall '-P 4 2'
_cell_length_a 3.522
_cell_length_b 3.522
_cell_length_c 10.536
_cell_angle_alpha 90.00
_cell_angle_beta 90.00
_cell_angle_gamma 90.00
loop_
_atom_site_label
_atom_site_fract_x
_atom_site_fract_y
_atom_site_fract_z
Hf1 0.000 0.000 0.000
Sc1 0.000 0.000 0.332
Cd1 0.500 0.500 0.166
Cd2 0.500 0.500 0.500
```

---

[2]
Density functional theory data (PBE-GGA) for a geometry-optimized NbSiI2N structure.

Raw formation energy, kJ/mol of formula units: 243

CIF file:
```
data_NbSiI2N
_symmetry_space_group_name_H-M 'P 4/m m m'
_symmetry_Int_Tables_number 123
_symmetry_space_group_name_Hall '-P 4 2'
_cell_length_a 5.692
_cell_length_b 5.692
_cell_length_c 3.921
_cell_angle_alpha 90.00
_cell_angle_beta 90.00
_cell_angle_gamma 90.00
loop_
_atom_site_label
_atom_site_fract_x
_atom_site_fract_y
_atom_site_fract_z
Nb1 0.000 0.000 0.000
Si1 0.500 0.500 0.500
I1 0.000 0.500 0.000
N1 0.000 0.000 0.500
```

---

[3]
Density functional theory data (PBE-GGA) for a geometry-optimized CuTeSCl2 structure.

Raw formation energy, kJ/mol of formula units: 188

CIF file:
```
data_CuTeSCl2
_symmetry_space_group_name_H-M 'P 4/m m m'
_symmetry_Int_Tables_number 123
_symmetry_space_group_name_Hall '-P 4 2'
_cell_length_a 5.220
_cell_length_b 5.220
_cell_length_c 5.245
_cell_angle_alpha 90.00
_cell_angle_beta 90.00
_cell_angle_gamma 90.00
loop_
_atom_site_label
_atom_site_fract_x
_atom_site_fract_y
_atom_site_fract_z
Cu1 0.000 0.000 0.000
Te1 0.500 0.500 0.500
S1 0.500 0.500 0.000
Cl1 0.000 0.500 0.500
```

---

[4]
Density functional theory data (PBE-GGA) for a geometry-optimized BaInRu structure.

ΔH_f (0 K), eV/atom: 1.234

CIF file:
```
data_BaInRu
_symmetry_space_group_name_H-M 'F -4 3 m'
_symmetry_Int_Tables_number 216
_symmetry_space_group_name_Hall 'F -4 2 3'
_cell_length_a 7.419
_cell_length_b 7.419
_cell_length_c 7.419
_cell_angle_alpha 90.00
_cell_angle_beta 90.00
_cell_angle_gamma 90.00
loop_
_atom_site_label
_atom_site_fract_x
_atom_site_fract_y
_atom_site_fract_z
Ba1 0.000 0.000 0.000
In1 0.250 0.250 0.250
Ru1 0.250 0.250 0.750
```

---

[5]
Density functional theory data (PBE-GGA) for a geometry-optimized TaAl2Au2 structure.

ΔH_f (0 K), eV/atom: -0.124

CIF file:
```
data_TaAl2Au2
_symmetry_space_group_name_H-M 'P 4/m b m'
_symmetry_Int_Tables_number 127
_symmetry_space_group_name_Hall '-P 4 2ab'
_cell_length_a 7.547
_cell_length_b 7.547
_cell_length_c 2.993
_cell_angle_alpha 90.00
_cell_angle_beta 90.00
_cell_angle_gamma 90.00
loop_
_atom_site_label
_atom_site_fract_x
_atom_site_fract_y
_atom_site_fract_z
Ta1 0.000 0.000 0.000
Al1 0.171 0.329 0.500
Au1 0.132 0.632 0.000
```

---

[6]
Density functional theory data (PBE-GGA) for a geometry-optimized Y3HoAg structure.

ΔH_f (0 K), eV/atom: 0.038

CIF file:
```
data_Y3HoAg
_symmetry_space_group_name_H-M 'C 1 2/m 1'
_symmetry_Int_Tables_number 12
_cell_length_a 11.449
_cell_length_b 8.497
_cell_length_c 7.811
_cell_angle_alpha 90.00
_cell_angle_beta 123.53
_cell_angle_gamma 90.00
loop_
_symmetry_equiv_pos_as_xyz
'x,y,z'
'-x,-y,-z'
'-x,y,-z'
'x,-y,z'
'x+1/2,y+1/2,z'
'-x+1/2,-y+1/2,-z'
'-x+1/2,y+1/2,-z'
'x+1/2,-y+1/2,z'
loop_
_atom_site_label
_atom_site_fract_x
_atom_site_fract_y
_atom_site_fract_z
Y1 0.049 0.000 0.314
Y2 0.186 0.297 0.705
Ho1 0.080 0.500 0.274
Ag1 0.230 0.500 0.062
```

---

[7]
Density functional theory data (PBE-GGA) for a geometry-optimized Sr2CaTl structure.

ΔH_f (0 K), eV/atom: -0.142

CIF file:
```
data_Sr2CaTl
_symmetry_space_group_name_H-M 'P 1 m 1'
_symmetry_Int_Tables_number 6
_cell_length_a 4.196
_cell_length_b 5.548
_cell_length_c 7.460
_cell_angle_alpha 90.00
_cell_angle_beta 106.30
_cell_angle_gamma 90.00
loop_
_symmetry_equiv_pos_as_xyz
'x,y,z'
'x,-y,z'
loop_
_atom_site_label
_atom_site_fract_x
└──

_Response_
Raw formation energy, kJ/mol of formula units: 243
Raw formation energy, kJ/mol of formula units: 188